Tag Archives: multiparty qkd

Story of the Month: Quantum Conferencing

Federico works on theoretical progress in multi-party quantum key distribution, also known as quantum conferencing. Have you ever heard about it?

Your data is under threat

In recent times people, as well as institutions, companies and governments, are increasingly concerned about the privacy of their data and are constantly looking for better ways to keep it safe.

One of the instances in which private data becomes vulnerable is when it is transmitted from one party to another one (e.g. a bank and its customer, the secret services and the government,  etc.). In order to keep the data safe, the sender encrypts the data with a secret key -the encryption key- that he/she shares with the receiver, prior to transferring it. The receiver then decrypts the data using the same secret key. A potential eavesdropper cannot learn the data without the encryption key. Hence, the data is secure as far as the key shared by the sender and the receiver through a cryptographic scheme is secret.

Classical Cryptography

Nowadays, the standard cryptographic schemes in use are referred to by quantum physicists in my field as “classical cryptography“. The security of such schemes relies on assumptions on the adversary’s computational capabilities , thus being vulnerable to retroactive attacks. In other words, an adversary could intercept and store the data encrypted by a classical crypto scheme, waiting to have sufficient computational power to decipher it. The recent developments of quantum computers, which promise unprecedented computational power, further increase the vulnerability of classical cryptography.

Quantum key distribution is the cure

QKD scheme

Quantum theory, despite being a threat to current cryptographic schemes, also provides a solution. Indeed,  the mentioned security concerns and the prospect of commercialization boosted major advancements in the field of quantum cryptography and particularly in quantum key distribution (QKD).

A QKD protocol enables two parties, Alice and Bob, to generate a shared secret key by sending quantum systems (typically photons of light) through a quantum channel that can be under the control of the eavesdropper (Eve), and by measuring the systems upon reception. Alice and Bob are also equipped with an authenticated public channel, e.g. a phone call wiretapped by Eve.

By relying on intrinsic properties of quantum theory, QKD can be unconditionally secure regardless of the eavesdropper’s computational capabilities, unlike classical cryptography. This remarkable feature of QKD allows for ever-lasting secure communication and attracted the attention of companies, private institutions and governments.

QKD has been successfully implemented over 400 km of optical fibers and over 1000 km of satellite-to-ground links, and has already reached the market with companies like Toshiba and ID Quantique.

What makes QKD secure?

The unconditional security offered by QKD is based on distinctive quantum features, such as entanglement. When two or more quantum systems are entangled, their properties are strongly interconnected. Indeed, measuring a property on one quantum system immediately determines the measurement outcome of the same property on the other systems. This fact can be used to generate correlated outcomes when different parties perform the same measurement on their entangled quantum systems. The correlated outcomes can then be used as a shared key.

monogamy of entanglement

The key generated in this way is secret thanks to the monogamy of entanglement. According to this peculiar feature of entanglement, if two parties are strongly entangled, a third party shares little entanglement with them. The entangled parties can thus obtain a shared key with their highly correlated measurement outcomes while being sure that the third party -a potential eavesdropper- has little information about it.

Quantum conferencing


The task of QKD can be generalized to more than two parties through a conference key agreement (CKA), where the goal is the establishment of a shared secret key -a conference key– among several parties. The conference key can then be used by one party to securely broadcast a message to the remaining parties.

The CKA could be trivially realized by performing bipartite QKD schemes between pairs of parties and using the established keys to distribute the conference key. Alternatively, one can exploit the correlations arising in multi-partite entangled states and devise a CKA protocol which directly outputs a secret conference key. Such truly multi-partite schemes are a natural application of quantum networks and have been proven to be advantageous in certain network configurations and noise regimes. In this post we focus on the latter type of CKA (the first review on this research topic [“Quantum Conference Key Agreement: A Review”, Murta, Grasselli, Kampermann and Bruss, 2020] is going to be published shortly).

The multiparty BB84 protocol

The BB84 protocol, devised by Bennett and Brassard in 1984, is the first and arguably the most famous of all the QKD protocols. Due to its simplicity, variants of the protocol have been widely implemented and even commercialized.

In our first work in the QCALL network, we generalized the BB84 protocol to a scenario with an arbitrary number of parties “N” willing to share a conference key, obtaining the so called N-BB84 protocol. Based on our work, an upcoming experimental implementation of a four-party BB84 protocol is about to be published [Proietti, Ho, Grasselli, Barrow, Malik, Fedrizzi, 2020].

The security proof of most QKD protocols is initially performed in a simplistic scenario, i.e. when the parties exchange an infinite number of quantum signals (asymptotic scenario). This is, of course, far from reality but it greatly simplifies the proof and gives indication on the protocol’s real-life performance.


A more realistic security proof with a finite number of signals (finite-key scenario), must consider that the measured data in the execution of the protocol is affected by statistical fluctuations. The challenge is to guarantee unconditional security of the distilled secret key despite the statistical fluctuations affecting the data.

In our work, we proved the security of the N-BB84 protocol and of another existing multiparty protocol (the N-six-state protocol) in the finite-key scenario, when the eavesdropper is allowed to perform the most general attack on the quantum channels (coherent attack). We also compared the performances of the two protocols under realistic conditions and showed that the N-BB84 protocol requires a lower number of protocol rounds to produce a non-null secret key.

Achieving longer distances

TF scheme

Most of the early QKD protocols do not rely on any intermediate relay: the parties taking part to the protocol are connected by a single-piece quantum channel.  Such protocols are often called point-to-point schemes.

In spite of the great distances experimentally achieved by point-to-point QKD protocols (see above), their key rates are fundamentally limited. The key rate “r” of a QKD protocol is given by the number of secret key bits per protocol round (in a round one or more parties send a quantum signal) and its value is typically well below 1. Clearly, in any point-to-point QKD scheme the key rate cannot exceed the probability “t” that the signal sent by Alice reaches Bob.

The problem is that most QKD protocols employ photons as information carriers and the probability “t”of a photon traveling the distance “L” separating Alice from Bob decreases exponentially with “L” ! (see figure) Thus, key rates of point-to-point QKD schemes decrease exponentially with the distance, strongly constraining their long-distance applicability.

A solution to this limitation is provided by the recently-developed twin-field (TF) QKD protocol, initially introduced by our QCALL partners in Toshiba. In TF QKD, Alice and Bob prepare weak coherent pulses corresponding to a random bit they picked and send them to a central untrusted relay. The relay combines the pulses, measures them, and announces the measurement outcome.  Based on the outcome, Bob either flips his bit or does nothing, in order to match it with Alice’s. By repeating this procedure at every round, the parties establish a secret key, which cannot be retrieved by the untrusted relay, even with the information of the measurement outcomes.

Being TF-QKD based on single-photon interference events occurring in the untrusted node,  only one photon out of the two sent by Alice and Bob needs to arrive at the central relay at every round.  Thus, the key rate of TF-QKD scales with the probability that one photon covered half of the total channel length (square root of “t”). This implies a square-root improvement  in the performance over point-to-point QKD protocols, allowing to reach longer distances.

TF-QKD is currently the only experimentally implemented protocol with an improved scaling of the key rate versus the distance, making it the new benchmark for far-distance QKD.

contour_plot 3 decoysintensity fluct

# Data records from another source follow
SrAg2Cl4: calculated powder XRD pattern (copper Kα), based on a DFT-relaxed cell (GGA-PBE, Alexandria).
No peak broadening, texture or thermal motion is included.

The 10 most intense peaks (2θ = 10–90°), in order of falling intensity:
- d 3.751, intensity 100, hkl 1 -1 1
- d 2.169, intensity 55, hkl 1 0 -3
- d 3.631, intensity 47, hkl 0 0 2
- d 3.017, intensity 44, hkl 1 1 0
- d 7.263, intensity 41, hkl 0 0 1
- d 3.107, intensity 33, hkl 0 2 -1
- d 2.221, intensity 31, hkl 2 -1 0
- d 3.083, intensity 31, hkl 0 2 0
- d 2.149, intensity 27, hkl -1 2 2
- d 2.629, intensity 26, hkl 0 2 1

Structure:
Lattice parameters (Å, degrees): 4.4414 6.7104 7.4633 102.53 90.07 109.21
Sites, in units of the cell vectors:
Sr 0.0000 0.0000 0.0000
Ag 0.3716 0.7456 0.4453
Ag 0.6284 0.2544 0.5547
Cl 0.1304 0.2602 0.3805
Cl 0.3809 0.7597 0.1077
Cl 0.6191 0.2403 0.8923
Cl 0.8696 0.7398 0.6195



Na2AgI3: calculated powder XRD pattern (copper Kα), based on a DFT-relaxed cell (GGA-PBE, Alexandria).
No peak broadening, texture or thermal motion is included.

The 10 most intense peaks (2θ = 10–90°), in order of falling intensity:
- d 2.471, intensity 100, hkl 0 6 0
- d 3.992, intensity 88, hkl 1 0 1
- d 4.050, intensity 87, hkl 0 3 1
- d 2.101, intensity 29, hkl 1 6 1
- d 2.077, intensity 28, hkl 2 3 1
- d 6.382, intensity 23, hkl 0 1 1
- d 2.419, intensity 20, hkl 2 0 0
- d 1.427, intensity 19, hkl 1 9 2
- d 3.457, intensity 16, hkl 1 3 0
- d 1.407, intensity 14, hkl 3 3 2

Structure:
Lattice parameters (Å, degrees): 4.8373 14.8253 7.0704 90.00 90.00 90.00
Sites, in units of the cell vectors:
Na 0.0000 0.1639 0.0000
Na 0.0000 0.8361 0.0000
Na 0.5000 0.3361 0.5000
Na 0.5000 0.6639 0.5000
Ag 0.0000 0.5000 0.0017
Ag 0.5000 0.0000 0.5017
I 0.0000 0.0000 0.7262
I 0.0000 0.3406 0.7685
I 0.0000 0.6594 0.7685
I 0.5000 0.1594 0.2685
I 0.5000 0.5000 0.2262
I 0.5000 0.8406 0.2685



SrAl2Se: calculated powder XRD pattern (copper Kα), based on a DFT-relaxed cell (GGA-PBE, Alexandria).
No peak broadening, texture or thermal motion is included.

The 10 most intense peaks (2θ = 10–90°), in order of falling intensity:
- d 3.234, intensity 100, hkl 1 1 1
- d 2.319, intensity 45, hkl 3 1 0
- d 3.580, intensity 40, hkl 2 0 -1
- d 2.490, intensity 33, hkl 1 1 -2
- d 4.003, intensity 29, hkl 1 1 0
- d 6.024, intensity 29, hkl 0 0 1
- d 2.308, intensity 28, hkl 0 2 0
- d 2.588, intensity 24, hkl 2 0 -2
- d 2.331, intensity 20, hkl 1 1 2
- d 2.256, intensity 20, hkl 3 1 -1

Structure:
Lattice parameters (Å, degrees): 8.1223 4.6150 6.0814 90.00 97.90 90.00
Sites, in units of the cell vectors:
Sr 0.0000 0.0000 0.0000
Sr 0.5000 0.5000 0.0000
Al 0.1264 0.5000 0.6331
Al 0.2935 0.0000 0.6386
Al 0.6264 0.0000 0.6331
Al 0.7935 0.5000 0.6386
Se 0.1945 0.5000 0.2389
Se 0.6945 0.0000 0.2389

* * * * *

Record 1
The following is a calculated X-ray powder pattern of Nb3Ga2Cl9. It was derived from a DFT-relaxed cell (PBE, the Materials Project), using copper Kα.
# So much for the data records

With a first and a second publication in collaboration with our QCALL colleagues in Vigo, we investigated the practical performance of the TF QKD protocol proposed by Curty et al. In particular, we optimized its key rate when the distances separating Alice and Bob from the untrusted node differ and showed that the protocol can achieve good key rates even in extremely asymmetric scenarios. We also showed that the protocol is robust against intensity fluctuations affecting the parties’ lasers (figures above).

W state vs NBB84

Inspired by the TF-QKD protocol, we extended its founding idea to the multiparty scenario. We introduced a CKA where N parties simultaneously establish a conference key by relying again on single-photon interference. The protocol, also called “W state protocol”, presents a remarkable improvement in the key rate-vs-distance compared to its point-to-point couterpart, just like TF-QKD (see figure).

== Unrelated to this entry: materials data ==
=====
(1)
This entry pairs a crystal structure of LiH4Rh3 with its simulated XRD peak list. Radiation: λ = 1.5418 Å (Cu Kα). Structure: a crystal structure in Alexandria, relaxed with GGA-PBE.
No peak broadening, texture or thermal motion is included.

Main lines, in order of rising 2θ (10 to 80 degrees two-theta):
2theta, I (rel.), h k l
22.41, 33, 1 0 0
31.90, 27, 1 1 0
39.33, 100, 1 1 1
45.74, 51, 2 0 0
51.51, 14, 2 1 0
56.84, 10, 2 1 1
66.68, 32, 2 2 0
71.31, 6, 3 0 0
75.83, 4, 3 1 0

Structural model:
abc: 3.967 3.967 3.967
angles: 90.00 90.00 90.00
Space group Pm-3m (No. 221)
Asymmetric unit:
Li 0.000 0.000 0.000 (multiplicity 1)
H 0.000 0.000 0.500 (multiplicity 3)
H 0.500 0.500 0.500 (multiplicity 1)
Rh 0.000 0.500 0.500 (multiplicity 3)

=====

(2)
This entry pairs a crystal structure of SrLiGa2Co with its simulated XRD peak list. Radiation: λ = 1.5418 Å (Cu Kα). Structure: a crystal structure in Alexandria, relaxed with GGA-PBE.
No peak broadening, texture or thermal motion is included.

Main lines, in order of rising 2θ (10 to 80 degrees two-theta):
2theta, I (rel.), h k l
18.40, 39, 0 0 1
26.76, 100, 1 0 1
33.19, 85, 1 1 1
37.29, 45, 0 0 2
39.11, 78, 2 0 0
48.02, 39, 2 1 1
55.14, 55, 2 0 2
56.50, 26, 2 2 0
67.12, 22, 3 1 1
69.67, 27, 2 2 2

Structural model:
abc: 4.607 4.607 4.822
angles: 90.00 90.00 90.00
Space group P4/mmm (No. 123)
Asymmetric unit:
Sr 0.000 0.000 0.000 (multiplicity 1)
Li 0.500 0.500 0.000 (multiplicity 1)
Ga 0.000 0.500 0.500 (multiplicity 2)
Co 0.500 0.500 0.500 (multiplicity 1)

=====

(3)
This entry pairs a crystal structure of Pm6PdSe5 with its simulated XRD peak list. Radiation: λ = 1.5418 Å (Cu Kα). Structure: a crystal structure in Alexandria, relaxed with GGA-PBE.
No peak broadening, texture or thermal motion is included.

Main lines, in order of rising 2θ (10 to 80 degrees two-theta):
2theta, I (rel.), h k l
25.98, 14, 1 3 -1
30.08, 100, 1 3 1
43.06, 74, 0 6 0
50.96, 5, 2 6 0
53.42, 26, 4 0 0
62.58, 8, 2 6 2
70.89, 17, 5 3 -3
71.00, 17, 1 9 1
78.86, 6, 4 6 -4
78.97, 19, 2 0 -6

Structural model:
abc: 7.286 12.594 7.276
angles: 90.00 109.57 90.00
Space group C2/m (No. 12)
Asymmetric unit:
Pm 0.246 0.166 0.246 (multiplicity 8)
Pm 0.247 0.000 0.750 (multiplicity 4)
Pd 0.000 0.000 0.000 (multiplicity 2)
Se 0.000 0.170 0.500 (multiplicity 4)
Se 0.000 0.335 0.000 (multiplicity 4)
Se 0.000 0.500 0.500 (multiplicity 2)


Record 1
Starting from a GGA-PBE-relaxed structure, the X-ray diffraction stick pattern of U2AuF11 was simulated for copper Kα.
Kinematic intensities with the Lorentz-polarization factor, no thermal factor.

Main lines, in order of rising 2θ (10° ≤ 2θ ≤ 90°):
d_spacing  Rel. int.
3.948  100
3.559  52
3.181  22
2.372  29
1.987  38
1.974  18
1.954  15
1.687  12

Cell and atoms:
```
U2AuF11
1.0
-5.6279 5.6279 3.1811
5.6279 -5.6279 3.1811
5.6279 5.6279 -3.1811
U Au F
4 2 22
direct
0.1442 0.6442 0.7884
0.3558 0.1442 0.5000
0.6442 0.8558 0.5000
0.8558 0.3558 0.2116
0.0000 0.0000 0.0000
0.5000 0.5000 0.0000
=====
== End of the materials data ==

Indeed, in the W state protocol just one photon out of the N photons sent by every party needs to arrive at the central relay, while in point-to-point multiparty protocols like the N-BB84 (and N-six-state), each of the N photons must  be successfully transmitted. We proved the security of the W state protocol  in the finite-key regime and for general attacks.

For the security paranoids

QKD offers an exceptional level of security, provided that the assumptions on the devices used for its implementation are experimentally verified. However, the devices could be affected by imperfections difficult to characterize, or, much worse, they could be forged by the eavesdropper in order to learn the secret key. Therefore, it is challenging to ensure that the assumptions on the implementation of a QKD protocol are met in practice.


Fortunately, device-independent (DI) QKD can guarantee the same level of security independently of the actual functioning of the employed devices. In this framework, the devices used by the parties are modeled as black boxes (i.e. completely uncharacterized) producing an output upon receiving an input from the party. The parties collect a series of outputs (with correspondent inputs) by repeating the same procedure for several rounds, making sure that they are distant enough so that no signal can travel from their device to the other’s device. If the collected data cannot be explained by a local deterministic strategy (for which a third party in the middle instructs the devices on the output to produce), the parties conclude that their data exhibits non-local correlations. This means that it was produced by an entangled state shared by Alice and Bob’s devices. Thanks to the monogamy of entanglement, the secrecy of the parties’ correlated outcomes is restored, guaranteeing that the key distilled from the outputs is secret.

We are currently working on a project which aims at devising new and better-performing device-independent multiparty QKD protocols, in short: DICKA. The fundamental principle on which these protocols are based would be the same, just extended to more than two parties.

If you want to know how this will turn out, stay tuned!